To do:
Find "-3.695 -4.336" and "C19 1.513" in the contents below, and copy these two lines and those between, please.
File:
DFT (ωB97M-V/def2-TZVPD) results for C30H21ClN3O2PRh as an isolated structure.

## Properties
Net charge   +3
E_tot   -64806.6786 eV
LUMO energy   -11.80 eV
F_max   0.0072 Eh/bohr

```
59
Properties=species:S:1:pos:R:3:mulliken_charge:R:1
Rh 0.018 -0.400 0.632 0.026
O 2.852 6.090 -0.251 -0.602
N 3.669 5.196 -0.301 1.070
O 4.854 5.325 -0.465 -0.580
C 3.165 3.793 -0.172 -0.853
C 4.094 2.831 -0.294 -0.613
C 3.744 1.451 -0.183 1.127
C 4.674 0.415 -0.369 -0.566
C 4.244 -0.887 -0.292 -1.512
C 2.910 -1.147 0.012 0.498
N 2.015 -0.183 0.219 -0.097
C 2.419 1.115 0.091 -0.509
C 1.433 2.138 0.184 0.457
N 0.156 1.706 0.370 -0.339
C -0.824 2.601 0.427 -0.019
C -0.582 3.965 0.318 -1.102
C 0.700 4.420 0.132 -0.150
C 1.768 3.493 0.049 0.790
H 5.122 3.113 -0.487 0.629
H 5.710 0.648 -0.584 0.535
H 4.919 -1.716 -0.452 0.515
H 2.565 -2.167 0.096 0.231
H -1.833 2.237 0.560 0.486
H -1.411 4.657 0.373 0.463
H 0.897 5.475 0.038 0.665
Cl -2.368 -0.309 0.554 -0.026
C -2.891 -1.897 -0.062 0.394
C -4.203 -2.039 -0.428 -0.783
C -4.598 -3.288 -0.918 -0.525
C -3.695 -4.336 -1.022 -0.842
C -2.374 -4.161 -0.639 -0.490
C -1.953 -2.923 -0.141 0.152
P -0.300 -2.652 0.422 2.211
C 0.849 -3.869 -0.113 0.368
C 1.061 -4.034 -1.491 -0.205
C 1.917 -5.030 -1.920 -0.931
C 2.547 -5.854 -0.989 -0.459
C 2.334 -5.688 0.375 -0.850
C 1.482 -4.695 0.827 -0.035
C -0.242 -2.154 2.120 -0.032
C -1.410 -2.092 2.950 -0.581
C -1.335 -1.513 4.177 -0.716
C -0.124 -0.916 4.623 -0.588
C 1.011 -0.952 3.850 -1.050
C 0.978 -1.597 2.607 0.304
H -4.906 -1.221 -0.355 0.528
H -5.627 -3.427 -1.224 0.453
H -4.020 -5.294 -1.404 0.461
H -1.669 -4.979 -0.721 0.493
H 0.561 -3.400 -2.215 0.560
H 2.089 -5.175 -2.978 0.478
H 3.205 -6.641 -1.334 0.479
H 2.821 -6.343 1.085 0.476
H 1.297 -4.579 1.887 0.502
H -2.327 -2.560 2.614 0.579
H -2.194 -1.519 4.834 0.512
H -0.096 -0.460 5.604 0.491
H 1.944 -0.543 4.211 0.535
H 1.912 -1.820 2.109 0.585
```

~~~~~

# 1
This record from the OMol25 dataset describes 8 unconnected molecules or ions with the total composition C74H75F5N3O16 in a non-equilibrium geometry. The level of theory is ωB97M-V/def2-TZVPD.

Each atom is followed by the atoms it is bonded to, with distances in Å.
Element x y z (Å)
1 C 12.7018 -1.7475 0.5200  C2 1.667, H43 1.173, H44 1.175, H45 1.183
2 C 13.2147 -1.4748 2.0830  C1 1.667, C3 1.650, H46 1.175, H47 1.184
3 C 11.9075 -1.2787 3.0698  C2 1.650, C4 1.667, H48 1.179, H49 1.189
4 C 11.4971 0.3211 3.2969  C3 1.667, C5 1.642, H50 1.189, H51 1.179
5 C 10.1656 0.7633 2.4444  C4 1.642, C6 1.640, H52 1.187, H53 1.174
6 C 8.9569 1.3029 3.4133  C5 1.640, C7 1.660, H54 1.186, H55 1.171
7 C 7.7522 2.1045 2.6006  C6 1.660, C8 1.656, H56 1.187, H57 1.178
8 C 6.5510 2.6320 3.6117  C7 1.656, C9 1.645, H58 1.187, H59 1.192
9 C 5.1218 2.8579 2.8301  C8 1.645, C10 1.654, H60 1.185, H61 1.188
10 C 3.9326 1.8551 3.3917  C9 1.654, C11 1.642, H62 1.192, H63 1.179
11 C 2.7905 2.6133 4.2955  C10 1.642, C12 1.643, H64 1.194, H65 1.189
12 C 1.4635 3.0129 3.4125  C11 1.643, C13 1.668, H66 1.194, H67 1.191
13 C 0.1253 2.0989 3.8060  C12 1.668, C14 1.649, H68 1.170, H69 1.194
14 C -1.2134 2.9192 3.3028  C13 1.649, C15 1.633, H70 1.194, H71 1.168
15 C -2.3298 3.1952 4.4619  C14 1.633, C16 1.638, H72 1.191, H73 1.191
16 C -3.8339 2.6230 4.1585  C15 1.638, C17 1.673, H74 1.194, H75 1.195
17 C -3.8407 1.1286 3.4066  C16 1.673, C18 1.675, N39 1.510
18 C -3.9835 1.0156 1.7419  C17 1.675, C19 1.628, C25 1.663
19 C -4.0730 2.2719 0.7096  C18 1.628, F20 1.513, F21 1.477, C22 1.673
20 F -3.3601 2.0440 -0.6051  C19 1.513
21 F -3.5430 3.5660 1.1842  C19 1.477
22 C -5.6841 2.4144 0.2833  C19 1.673, F23 1.481, F24 1.511, H76 1.194
23 F -6.1388 3.8209 0.1843  C22 1.481
24 F -6.5437 1.5706 1.1952  C22 1.511
25 C -4.0398 -0.5366 1.1465  C18 1.663, C26 1.629, C28 1.673
26 C -4.2309 -0.9767 -0.4099  C25 1.629, N27 1.544, H77 1.185, H78 1.191
27 N -5.2492 -2.1174 -0.6223  C26 1.544, H79 1.043, H80 1.063
28 C -3.8804 -1.7268 2.3114  C25 1.673, O29 1.502, N38 1.487
Reply:
C -3.695 -4.336 -1.022 -0.842
C -2.374 -4.161 -0.639 -0.490
C -1.953 -2.923 -0.141 0.152
P -0.300 -2.652 0.422 2.211
C 0.849 -3.869 -0.113 0.368
C 1.061 -4.034 -1.491 -0.205
C 1.917 -5.030 -1.920 -0.931
C 2.547 -5.854 -0.989 -0.459
C 2.334 -5.688 0.375 -0.850
C 1.482 -4.695 0.827 -0.035
C -0.242 -2.154 2.120 -0.032
C -1.410 -2.092 2.950 -0.581
C -1.335 -1.513 4.177 -0.716
C -0.124 -0.916 4.623 -0.588
C 1.011 -0.952 3.850 -1.050
C 0.978 -1.597 2.607 0.304
H -4.906 -1.221 -0.355 0.528
H -5.627 -3.427 -1.224 0.453
H -4.020 -5.294 -1.404 0.461
H -1.669 -4.979 -0.721 0.493
H 0.561 -3.400 -2.215 0.560
H 2.089 -5.175 -2.978 0.478
H 3.205 -6.641 -1.334 0.479
H 2.821 -6.343 1.085 0.476
H 1.297 -4.579 1.887 0.502
H -2.327 -2.560 2.614 0.579
H -2.194 -1.519 4.834 0.512
H -0.096 -0.460 5.604 0.491
H 1.944 -0.543 4.211 0.535
H 1.912 -1.820 2.109 0.585
```

~~~~~

# 1
This record from the OMol25 dataset describes 8 unconnected molecules or ions with the total composition C74H75F5N3O16 in a non-equilibrium geometry. The level of theory is ωB97M-V/def2-TZVPD.

Each atom is followed by the atoms it is bonded to, with distances in Å.
Element x y z (Å)
1 C 12.7018 -1.7475 0.5200  C2 1.667, H43 1.173, H44 1.175, H45 1.183
2 C 13.2147 -1.4748 2.0830  C1 1.667, C3 1.650, H46 1.175, H47 1.184
3 C 11.9075 -1.2787 3.0698  C2 1.650, C4 1.667, H48 1.179, H49 1.189
4 C 11.4971 0.3211 3.2969  C3 1.667, C5 1.642, H50 1.189, H51 1.179
5 C 10.1656 0.7633 2.4444  C4 1.642, C6 1.640, H52 1.187, H53 1.174
6 C 8.9569 1.3029 3.4133  C5 1.640, C7 1.660, H54 1.186, H55 1.171
7 C 7.7522 2.1045 2.6006  C6 1.660, C8 1.656, H56 1.187, H57 1.178
8 C 6.5510 2.6320 3.6117  C7 1.656, C9 1.645, H58 1.187, H59 1.192
9 C 5.1218 2.8579 2.8301  C8 1.645, C10 1.654, H60 1.185, H61 1.188
10 C 3.9326 1.8551 3.3917  C9 1.654, C11 1.642, H62 1.192, H63 1.179
11 C 2.7905 2.6133 4.2955  C10 1.642, C12 1.643, H64 1.194, H65 1.189
12 C 1.4635 3.0129 3.4125  C11 1.643, C13 1.668, H66 1.194, H67 1.191
13 C 0.1253 2.0989 3.8060  C12 1.668, C14 1.649, H68 1.170, H69 1.194
14 C -1.2134 2.9192 3.3028  C13 1.649, C15 1.633, H70 1.194, H71 1.168
15 C -2.3298 3.1952 4.4619  C14 1.633, C16 1.638, H72 1.191, H73 1.191
16 C -3.8339 2.6230 4.1585  C15 1.638, C17 1.673, H74 1.194, H75 1.195
17 C -3.8407 1.1286 3.4066  C16 1.673, C18 1.675, N39 1.510
18 C -3.9835 1.0156 1.7419  C17 1.675, C19 1.628, C25 1.663
19 C -4.0730 2.2719 0.7096  C18 1.628, F20 1.513, F21 1.477, C22 1.673
20 F -3.3601 2.0440 -0.6051  C19 1.513